The Republican Party has had some bad ideas, but it has never come up with a political tactic as obviously stupid as shutting down the federal government to protest President Obama’s immigration policies. It is almost a masterpiece of self-sabotage, harnessing the party’s most self-destructive short-term political maneuver to its most dangerous long-term demographic liability. It is the sharks-with-laser-beams of political maneuvers.
Incredibly, in the short time since the midterms, the prospect of a shutdown has progressed from unthinkable to probable enough that Republicans are apparently wracking their brains to come up with an alternative. Politico earnestly reports:

Well, they could — I dunno, just spitballing here — try maybe not shutting down the government. It’s just crazy enough to work.
The Republicans certainly have a valid procedural complaint about Obama’s prospective plan. The legal consensus is that the president is perfectly in his rights to use selective enforcement to carve out vast new practical exceptions to existing immigration law. Likewise, the Republican Congress was perfectly within its legal rights to refuse to lift the debt ceiling unless Obama submitted to various policy demands. The fair accusation is that Obama is playing Constitutional hardball, pushing his existing powers in new, potentially dangerous directions. One can imagine a future Republican president using selective enforcement to neuter elements of the tax code.
# Unrelated to this entry: crystal structures
- - -
CaTc2Ir: optimized geometry, PBE.

Cell: 3.085 4.472 4.780 Å, 90.00 90.00 90.00°
Positions (direct):
Ca (0.000, 0.000, 0.000)
Tc (0.000, 0.500, 0.500)
Tc (0.500, 0.000, 0.500)
Ir (0.500, 0.500, 0.000)

Computed properties:
Fermi-level density of states (states/eV per atom): 1.091
Theoretical density (kg/m3): 10784
DFT formation energy (meV per atom): 409

~~~~~

# 1
{"formula": "Nb2Pd9Pt", "functional": "PBE", "state": "optimized geometry", "n_ef_per_ev_cell": 6.08, "sg": "P4/mmm, No. 123", "formation_energy_ev_per_atom": -0.315, "cell": [[3.969, 0.000, 0.000], [0.000, 3.969, 0.000], [0.000, 0.000, 11.923]], "species": ["Nb", "Nb", "Pd", "Pd", "Pd", "Pd", "Pd", "Pd", "Pd", "Pd", "Pd", "Pt"], "frac_coords": [[0.000, 0.000, 0.325], [0.000, 0.000, 0.675], [0.500, 0.500, 0.000], [0.500, 0.500, 0.337], [0.500, 0.500, 0.663], [0.500, 0.000, 0.172], [0.500, 0.000, 0.500], [0.500, 0.000, 0.828], [0.000, 0.500, 0.172], [0.000, 0.500, 0.500], [0.000, 0.500, 0.828], [0.000, 0.000, 0.000]]}

---

# 2
{"formula": "Nb2PdPt", "functional": "PBE", "state": "optimized geometry", "n_ef_per_ev_cell": 8.60, "sg": "I-42d, No. 122", "formation_energy_ev_per_atom": 0.090, "cell": [[3.943, 0.000, 0.000], [0.000, 3.943, 0.000], [1.972, 1.972, 9.311]], "species": ["Nb", "Nb", "Nb", "Nb", "Pd", "Pd", "Pt", "Pt"], "frac_coords": [[0.629, 0.125, 0.250], [0.121, 0.625, 0.250], [0.375, 0.371, 0.750], [0.875, 0.879, 0.750], [0.500, 0.500, 0.000], [0.250, 0.750, 0.500], [0.000, 0.000, 0.000], [0.750, 0.250, 0.500]]}

---

# 3
{"formula": "Nb2Pd2Pt", "functional": "PBE", "state": "optimized geometry", "n_ef_per_ev_cell": 11.57, "sg": "P4/mbm, No. 127", "e_above_lowest_polymorph_ev_per_atom": 0.270, "formation_energy_ev_per_atom": -0.214, "cell": [[-3.481, 5.352, 4.151], [-6.609, -1.663, -3.398], [-0.565, -1.967, 2.062]], "species": ["Nb", "Nb", "Nb", "Nb", "Pd", "Pd", "Pd", "Pd", "Pt", "Pt"], "frac_coords": [[0.175, 0.675, 0.500], [0.675, 0.825, 0.500], [0.825, 0.325, 0.500], [0.325, 0.175, 0.500], [0.376, 0.876, 0.000], [0.876, 0.624, 0.000], [0.624, 0.124, 0.000], [0.124, 0.376, 0.000], [0.000, 0.000, 0.000], [0.500, 0.500, 0.000]]}

---

# 4
{"formula": "Nb2PdPt", "functional": "PBE", "state": "optimized geometry", "n_ef_per_ev_cell": 3.83, "sg": "P4/mmm, No. 123", "formation_energy_ev_per_atom": -0.485, "cell": [[4.133, 0.000, 0.000], [0.000, 3.994, 0.000], [0.000, 0.000, 3.994]], "species": ["Nb", "Nb", "Pd", "Pt"], "frac_coords": [[0.000, 0.000, 0.500], [0.000, 0.500, 0.000], [0.500, 0.000, 0.000], [0.500, 0.500, 0.500]]}

---

# 5
- - -
The trouble is that there is no reason to believe a shutdown will do anything to advance their protest. There are many reasons to believe it will do just the opposite. Every previous example of a shutdown has caused the public to turn sharply against the Republicans carrying it out.
Shutdown advocates have always tried to make various complex arguments to the effect that the president, not them, is the one shutting down the government. Their argument is that they are voting to keep the government open, conditioned upon the president accepting their policy demands, and his refusal to accept those conditions makes him responsible for the shutdown. Regardless of the merits of this argument, which are tendentious at best, the practical fact is that Republicans have never managed to gull the news media or the public into accepting it. They tried to argue that Bill Clinton shut down the government in 1995 and that Obama shut it down in 2013, and nobody other than hard-core Republican partisans bought it. It is highly unlikely that this same argumentative tactic will succeed where it has previously failed.
A somewhat more sophisticated rationale, of which you can find here and here, goes like this: Yes, the public blamed Republicans for the shutdown last year. But then they forgot about it and gave them a huge win the next year. So what’s the harm?
This is conceivably true. On the other hand, it’s extraordinarily reckless. The shutdown had a massive negative effect on the party. The fact that the party survived it does not mean it can survive any number of subsequent events. While Charlie Sheen’s career survived his first drug-fueled meltdown perfectly intact, it does not follow that an endless succession of drug binges would have no impact on his future earnings. Continuing to brand the GOP as the party of reckless antics at the very least runs the risk of contributing to a hardening impression. At best it is a futile gesture, as the inevitable public-opinion fallout will reward rather than punish Obama for his stance.
Then there is the fact that a shutdown would highlight an issue on which Obama will back the GOP into a corner. His unilateral executive plan will make the immigration stakes very easy to understand: He will be sparing several million illegal immigrants from the threat of deportation and allowing them to work legally. This will force Republican presidential candidates to promise to overturn Obama’s order and, thus, deport them.
The Latino vote was anomalously small during the midterm elections but will resume its upward trajectory during the presidential election. Florida alone, a rather important state, will shift several crucial percentage points based on demographic changes. Meanwhile, nativist crank Steve King is setting himself up as a power broker in Iowa, which will force Republican candidates to associate themselves with his crazed, racist diatribes. Recall such scenes as Rand Paul turning tail and running when a camera approached him with King to get a sense of the awkwardness lying in store for the GOP.

The prospective shutdown is such an insanely bad idea that it is worth diagnosing what mental breakdown led the party to a place where this course of action has received serious consideration. One possible answer is that it stems from a congenital aggressiveness. Tom Edsall, a Washington reporter and longtime denizen of bipartisan poker games, once observed that the two parties display notably different approaches toward risk. “Conservative poker players are more willing to go for the kill,” while liberals “will simply check and turn over their cards to collect a more modest amount.”
[Misplaced crystal structures]
/*
No. 1
DFT (PBE-GGA) results for MgHg4Os after structural relaxation.

Values from the calculation:
Calculated formation energy ... 0.81 eV per atom
Energy ... -0.11213 Ry/atom

POSCAR file:
```
MgHg4Os
1.0
0.000 3.990 3.990
3.990 0.000 3.990
3.990 3.990 0.000
Hg Mg Os
4 1 1
direct
0.876 0.375 0.375
0.375 0.375 0.876
0.375 0.375 0.375
0.375 0.876 0.375
0.750 0.750 0.750
0.000 0.000 0.000
```



No. 2
DFT (PBE-GGA) results for MgHg2Os after structural relaxation.

Values from the calculation:
Calculated formation energy ... 0.61 eV per atom
Energy ... -0.20218 Ry/atom

POSCAR file:
```
MgHg2Os
1.0
-2.579 3.932 -0.430
-4.692 -0.189 0.490
-2.055 1.903 3.801
Mg Os Hg
1 1 2
direct
0.500 0.500 0.500
0.250 0.250 0.250
0.750 0.750 0.750
0.000 0.000 0.000
```



No. 3
DFT (PBE-GGA) results for Mg2HgOs after structural relaxation.

Values from the calculation:
Calculated formation energy ... 0.20 eV per atom
Energy ... -0.25596 Ry/atom

POSCAR file:
```
Mg2HgOs
1.0
-3.699 -0.265 3.101
2.177 -1.386 4.088
1.187 3.730 -2.837
Mg Os Hg
2 1 1
direct
0.000 0.000 0.000
0.500 0.500 0.000
0.250 0.750 0.500
0.750 0.250 0.500
```



No. 4
DFT (PBE-GGA) results for Mg2Hg4Os after structural relaxation.

Values from the calculation:
Calculated formation energy ... 0.42 eV per atom
Energy ... -0.13336 Ry/atom

POSCAR file:
```
Mg2Hg4Os
1.0
-5.023 0.523 -1.534
1.112 -2.522 -4.501
-3.502 -7.044 -0.013
Mg Os Hg
2 1 4
direct
0.610 0.610 0.781
0.390 0.390 0.219
0.000 0.000 0.000
0.500 0.000 0.000
0.000 0.500 0.000
0.196 0.196 0.609
0.804 0.804 0.391
```



No. 5
DFT (PBE-GGA) results for Mg2HgOs after structural relaxation.

Values from the calculation:
Calculated formation energy ... 0.13 eV per atom
Energy ... -0.26076 Ry/atom

POSCAR file:
```
Mg2HgOs
1.0
-1.450 -1.300 2.394
0.679 -2.799 -1.109
6.579 0.015 3.993
Mg Hg Os
2 1 1
direct
0.000 0.000 0.037
0.000 0.000 0.463
0.500 0.500 0.750
0.500 0.500 0.250
```



No. 6
DFT (PBE-GGA) results for Mg2HgOs after structural relaxation.

Values from the calculation:
Calculated formation energy ... 0.31 eV per atom
Energy ... -0.24736 Ry/atom

POSCAR file:
```
Mg2HgOs
1.0
-0.637 4.104 -2.095
-2.607 0.270 -3.843
-4.163 2.069 0.155
Mg Os Hg
2 1 1
direct
0.000 0.000 0.000
0.250 0.250 0.250
0.750 0.750 0.750
0.500 0.500 0.500
```



No. 7
DFT (PBE-GGA) results for MgHg2Os after structural relaxation.

Values from the calculation:
Calculated formation energy ... 0.51 eV per atom
Energy ... -0.20894 Ry/atom

POSCAR file:
```
MgHg2Os
1.0
-1.369 -4.538 -8.250
-2.517 -6.624 -6.350
-4.263 -4.326 -7.324
Os Hg Mg
1 2 1
direct
0.750 0.750 0.750
0.500 0.500 0.500
0.000 0.000 0.000
0.250 0.250 0.250
```



No. 8
DFT (PBE-GGA) results for MgHgOs after structural relaxation.

Values from the calculation:
Calculated formation energy ... 0.48 eV per atom
Energy ... -0.28636 Ry/atom

POSCAR file:
```
MgHgOs
1.0
5.116 0.018 -0.007
2.585 4.415 0.007
-3.348 -3.089 2.328
Mg Os Hg
1 1 1
direct
0.324 0.324 0.000
0.674 0.674 0.000
0.001 0.001 0.000
```
*/
There are times when the all-or-nothing play makes perfect sense. This is not one of them. A government shutdown does not give Republicans leverage — it gives Obama leverage. They have no winning move here. The only play is to cut their losses and muddle through while sustaining as little damage as possible. They could even avoid the worst damage by doing something completely unimaginable and perhaps sitting down with Democrats to negotiate immigration policy, so that if there’s going to be an amnesty they can get something in return. It is a sign of the barking madness that continues to prevail within the Republican Party that such a course of action is not even getting a hearing.